-- Given --
-- begin --
1:
Computed, not measured: LaTi6O12 after structural relaxation at the PBE level of DFT.

Calculated values
Total magnetic moment ... 0.001 μB/atom

a b c (Å): 6.7074 7.2873 9.7655
angles (deg): 88.24 81.56 63.94
Closest atoms and distances in Å follow each position.
Positions (direct):
La 0.2458 0.0588 0.4401  5 O 2.33-2.60
La 0.7542 0.9412 0.5599  5 O 2.33-2.60
Ti 0.0698 0.4257 0.1514  5 O 1.84-2.05
Ti 0.1210 0.9004 0.7579  3 O 1.74-1.93
Ti 0.2262 0.6084 0.3290  5 O 1.87-2.05
Ti 0.2904 0.4709 0.6226  4 O 1.83-1.93
Ti 0.3544 0.0614 0.8861  4 O 1.87-1.95
Ti 0.4306 0.4064 0.9223  5 O 1.87-2.08
Ti 0.5694 0.5936 0.0777  5 O 1.87-2.08
Ti 0.6456 0.9386 0.1139  4 O 1.87-1.95
Ti 0.7096 0.5291 0.3774  4 O 1.83-1.93
Ti 0.7738 0.3916 0.6710  5 O 1.87-2.05
Ti 0.8790 0.0996 0.2421  3 O 1.74-1.93
Ti 0.9302 0.5743 0.8486  5 O 1.84-2.05
O 0.0368 0.9018 0.3603  2 Ti 1.86-1.95
O 0.0586 0.4008 0.6674  3 Ti 1.83-2.05
O 0.0694 0.0622 0.9003  2 Ti 1.74-1.89
O 0.1607 0.3463 0.9443  4 Ti 1.95-2.05
O 0.1670 0.1670 0.2187  1 Ti 1.84
O 0.1959 0.7288 0.5571  1 Ti 1.83
O 0.2319 0.6221 0.8167  3 Ti 1.93-2.12
O 0.3168 0.5115 0.1277  4 Ti 1.99-2.08
O 0.3425 0.3743 0.4333  2 Ti 1.87-1.93
O 0.3852 0.9641 0.7032  2 Ti 1.89-2.02
O 0.4299 0.8617 0.0193  2 Ti 1.87
O 0.4624 0.7181 0.2964  2 Ti 1.89-2.05
O 0.5376 0.2819 0.7036  2 Ti 1.89-2.05
O 0.5701 0.1383 0.9807  2 Ti 1.87
O 0.6148 0.0359 0.2968  2 Ti 1.89-2.02
O 0.6575 0.6257 0.5667  2 Ti 1.87-1.93
O 0.6832 0.4885 0.8723  4 Ti 1.99-2.08
O 0.7681 0.3779 0.1833  3 Ti 1.93-2.12
O 0.8041 0.2712 0.4429  1 Ti 1.83
O 0.8330 0.8330 0.7813  1 Ti 1.84
O 0.8393 0.6537 0.0557  4 Ti 1.95-2.05
O 0.9306 0.9378 0.0997  2 Ti 1.74-1.89
O 0.9414 0.5992 0.3326  3 Ti 1.83-2.05
O 0.9632 0.0982 0.6397  2 Ti 1.86-1.95

2:
Computed, not measured: LaTi6O12 after structural relaxation at the PBE level of DFT.

Calculated values
Total magnetic moment ... 0.105 μB/atom

a b c (Å): 8.2715 8.2715 9.7889
angles (deg): 124.87 124.87 65.82
Closest atoms and distances in Å follow each position.
Positions (direct):
La 0.2314 0.7686 0.0000  4 O 2.51-2.52
La 0.7686 0.2314 0.0000  4 O 2.51-2.52
Ti 0.0198 0.6904 0.5288  6 O 1.95-2.09
Ti 0.1679 0.4977 0.1850  6 O 1.91-2.10
Ti 0.1708 0.1708 0.8214  6 O 1.91-2.07
Ti 0.3096 0.9802 0.4712  6 O 1.95-2.09
Ti 0.3547 0.3547 0.5342  6 O 1.94-2.06
Ti 0.4977 0.1679 0.1850  6 O 1.91-2.10
Ti 0.5023 0.8321 0.8150  6 O 1.91-2.10
Ti 0.6453 0.6453 0.4658  6 O 1.94-2.06
Ti 0.6904 0.0198 0.5288  6 O 1.95-2.09
Ti 0.8292 0.8292 0.1786  6 O 1.91-2.07
Ti 0.8321 0.5023 0.8150  6 O 1.91-2.10
Ti 0.9802 0.3096 0.4712  6 O 1.95-2.09
O 0.1205 0.7869 0.2699  3 Ti 1.95-1.98
O 0.1381 0.4781 0.9486  3 Ti 2.06-2.10
O 0.1498 0.1498 0.6073  3 Ti 1.91-1.96
O 0.1531 0.1531 0.3371  3 Ti 2.03-2.05
O 0.1790 0.5211 0.6703  3 Ti 2.06-2.09
O 0.1823 0.5149 0.3944  3 Ti 1.91-1.99
O 0.1949 0.1949 0.0535  3 Ti 2.04-2.06
O 0.2131 0.8795 0.7301  3 Ti 1.95-1.98
O 0.4548 0.4548 0.2786  3 Ti 1.94-1.95
O 0.4781 0.1381 0.9486  3 Ti 2.06-2.10
O 0.4789 0.8210 0.3297  3 Ti 2.06-2.09
O 0.4851 0.8177 0.6056  3 Ti 1.91-1.99
O 0.5149 0.1823 0.3944  3 Ti 1.91-1.99
O 0.5211 0.1790 0.6703  3 Ti 2.06-2.09
O 0.5219 0.8619 0.0514  3 Ti 2.06-2.10
O 0.5452 0.5452 0.7214  3 Ti 1.94-1.95
O 0.7869 0.1205 0.2699  3 Ti 1.95-1.98
O 0.8051 0.8051 0.9465  3 Ti 2.04-2.06
O 0.8177 0.4851 0.6056  3 Ti 1.91-1.99
O 0.8210 0.4789 0.3297  3 Ti 2.06-2.09
O 0.8469 0.8469 0.6629  3 Ti 2.03-2.05
O 0.8502 0.8502 0.3927  3 Ti 1.91-1.96
O 0.8619 0.5219 0.0514  3 Ti 2.06-2.10
O 0.8795 0.2131 0.7301  3 Ti 1.95-1.98

Unit: kJ/mol of atoms. Relative energies: 1 11.8; 2 0.0.

1:
Computed, not measured: LaZr9O20 after structural relaxation at the PBE level of DFT.

Calculated values
Total magnetic moment ... 0.000 μB/atom

a b c (Å): 6.3810 7.3724 8.2431
angles (deg): 102.99 97.44 106.69
Closest atoms and distances in Å follow each position.
Positions (direct):
La 0.0000 0.0000 0.0000  8 O 2.41-2.43
Zr 0.0000 0.5000 0.0000  8 O 2.19-2.30
Zr 0.2015 0.4024 0.4030  8 O 2.20-2.29
-- stop --
-- Exercise --
Next, reproduce all of the data earlier on with every line break kept.
-- Written answer --
1:
Computed, not measured: LaTi6O12 after structural relaxation at the PBE level of DFT.

Calculated values
Total magnetic moment ... 0.001 μB/atom

a b c (Å): 6.7074 7.2873 9.7655
angles (deg): 88.24 81.56 63.94
Closest atoms and distances in Å follow each position.
Positions (direct):
La 0.2458 0.0588 0.4401  5 O 2.33-2.60
La 0.7542 0.9412 0.5599  5 O 2.33-2.60
Ti 0.0698 0.4257 0.1514  5 O 1.84-2.05
Ti 0.1210 0.9004 0.7579  3 O 1.74-1.93
Ti 0.2262 0.6084 0.3290  5 O 1.87-2.05
Ti 0.2904 0.4709 0.6226  4 O 1.83-1.93
Ti 0.3544 0.0614 0.8861  4 O 1.87-1.95
Ti 0.4306 0.4064 0.9223  5 O 1.87-2.08
Ti 0.5694 0.5936 0.0777  5 O 1.87-2.08
Ti 0.6456 0.9386 0.1139  4 O 1.87-1.95
Ti 0.7096 0.5291 0.3774  4 O 1.83-1.93
Ti 0.7738 0.3916 0.6710  5 O 1.87-2.05
Ti 0.8790 0.0996 0.2421  3 O 1.74-1.93
Ti 0.9302 0.5743 0.8486  5 O 1.84-2.05
O 0.0368 0.9018 0.3603  2 Ti 1.86-1.95
O 0.0586 0.4008 0.6674  3 Ti 1.83-2.05
O 0.0694 0.0622 0.9003  2 Ti 1.74-1.89
O 0.1607 0.3463 0.9443  4 Ti 1.95-2.05
O 0.1670 0.1670 0.2187  1 Ti 1.84
O 0.1959 0.7288 0.5571  1 Ti 1.83
O 0.2319 0.6221 0.8167  3 Ti 1.93-2.12
O 0.3168 0.5115 0.1277  4 Ti 1.99-2.08
O 0.3425 0.3743 0.4333  2 Ti 1.87-1.93
O 0.3852 0.9641 0.7032  2 Ti 1.89-2.02
O 0.4299 0.8617 0.0193  2 Ti 1.87
O 0.4624 0.7181 0.2964  2 Ti 1.89-2.05
O 0.5376 0.2819 0.7036  2 Ti 1.89-2.05
O 0.5701 0.1383 0.9807  2 Ti 1.87
O 0.6148 0.0359 0.2968  2 Ti 1.89-2.02
O 0.6575 0.6257 0.5667  2 Ti 1.87-1.93
O 0.6832 0.4885 0.8723  4 Ti 1.99-2.08
O 0.7681 0.3779 0.1833  3 Ti 1.93-2.12
O 0.8041 0.2712 0.4429  1 Ti 1.83
O 0.8330 0.8330 0.7813  1 Ti 1.84
O 0.8393 0.6537 0.0557  4 Ti 1.95-2.05
O 0.9306 0.9378 0.0997  2 Ti 1.74-1.89
O 0.9414 0.5992 0.3326  3 Ti 1.83-2.05
O 0.9632 0.0982 0.6397  2 Ti 1.86-1.95

2:
Computed, not measured: LaTi6O12 after structural relaxation at the PBE level of DFT.

Calculated values
Total magnetic moment ... 0.105 μB/atom

a b c (Å): 8.2715 8.2715 9.7889
angles (deg): 124.87 124.87 65.82
Closest atoms and distances in Å follow each position.
Positions (direct):
La 0.2314 0.7686 0.0000  4 O 2.51-2.52
La 0.7686 0.2314 0.0000  4 O 2.51-2.52
Ti 0.0198 0.6904 0.5288  6 O 1.95-2.09
Ti 0.1679 0.4977 0.1850  6 O 1.91-2.10
Ti 0.1708 0.1708 0.8214  6 O 1.91-2.07
Ti 0.3096 0.9802 0.4712  6 O 1.95-2.09
Ti 0.3547 0.3547 0.5342  6 O 1.94-2.06
Ti 0.4977 0.1679 0.1850  6 O 1.91-2.10
Ti 0.5023 0.8321 0.8150  6 O 1.91-2.10
Ti 0.6453 0.6453 0.4658  6 O 1.94-2.06
Ti 0.6904 0.0198 0.5288  6 O 1.95-2.09
Ti 0.8292 0.8292 0.1786  6 O 1.91-2.07
Ti 0.8321 0.5023 0.8150  6 O 1.91-2.10
Ti 0.9802 0.3096 0.4712  6 O 1.95-2.09
O 0.1205 0.7869 0.2699  3 Ti 1.95-1.98
O 0.1381 0.4781 0.9486  3 Ti 2.06-2.10
O 0.1498 0.1498 0.6073  3 Ti 1.91-1.96
O 0.1531 0.1531 0.3371  3 Ti 2.03-2.05
O 0.1790 0.5211 0.6703  3 Ti 2.06-2.09
O 0.1823 0.5149 0.3944  3 Ti 1.91-1.99
O 0.1949 0.1949 0.0535  3 Ti 2.04-2.06
O 0.2131 0.8795 0.7301  3 Ti 1.95-1.98
O 0.4548 0.4548 0.2786  3 Ti 1.94-1.95
O 0.4781 0.1381 0.9486  3 Ti 2.06-2.10
O 0.4789 0.8210 0.3297  3 Ti 2.06-2.09
O 0.4851 0.8177 0.6056  3 Ti 1.91-1.99
O 0.5149 0.1823 0.3944  3 Ti 1.91-1.99
O 0.5211 0.1790 0.6703  3 Ti 2.06-2.09
O 0.5219 0.8619 0.0514  3 Ti 2.06-2.10
O 0.5452 0.5452 0.7214  3 Ti 1.94-1.95
O 0.7869 0.1205 0.2699  3 Ti 1.95-1.98
O 0.8051 0.8051 0.9465  3 Ti 2.04-2.06
O 0.8177 0.4851 0.6056  3 Ti 1.91-1.99
O 0.8210 0.4789 0.3297  3 Ti 2.06-2.09
O 0.8469 0.8469 0.6629  3 Ti 2.03-2.05
O 0.8502 0.8502 0.3927  3 Ti 1.91-1.96
O 0.8619 0.5219 0.0514  3 Ti 2.06-2.10
O 0.8795 0.2131 0.7301  3 Ti 1.95-1.98

Unit: kJ/mol of atoms. Relative energies: 1 11.8; 2 0.0.

1:
Computed, not measured: LaZr9O20 after structural relaxation at the PBE level of DFT.

Calculated values
Total magnetic moment ... 0.000 μB/atom

a b c (Å): 6.3810 7.3724 8.2431
angles (deg): 102.99 97.44 106.69
Closest atoms and distances in Å follow each position.
Positions (direct):
La 0.0000 0.0000 0.0000  8 O 2.41-2.43
Zr 0.0000 0.5000 0.0000  8 O 2.19-2.30
Zr 0.2015 0.4024 0.4030  8 O 2.20-2.29